== Entries ==
<<<
Diffraction record for CaHg3. The powder diffraction line list is simulated, not measured: it uses DFT lattice parameters and positions (PBE) and CuKα.
Neutral-atom scattering factors, no anomalous dispersion.

Main lines, by intensity (10° ≤ 2θ ≤ 80°):
hkl  Position (°2θ)  d/Å  I_rel
2 2 1  35.7  2.515  1000
0 0 2  34.4  2.604  943
4 0 2  67.7  1.384  269
2 2 0  31.2  2.871  250
2 6 2  65.3  1.428  235
2 6 0  53.7  1.707  216
2 2 3  62.4  1.487  200
1 1 1  23.0  3.861  164
2 2 2  47.1  1.930  162
0 4 0  29.8  3.002  126

Structure:
```
data_CaHg3
_space_group_name_H-M_alt 'C m c m'
_space_group_IT_number 63
_space_group_name_Hall '-C 2c 2'
_cell_length_a 6.538
_cell_length_b 12.009
_cell_length_c 5.216
_cell_angle_alpha 90.00
_cell_angle_beta 90.00
_cell_angle_gamma 90.00
loop_
_atom_site_label
_atom_site_fract_x
_atom_site_fract_y
_atom_site_fract_z
Ca1 0.000 0.167 0.250
Hg1 0.000 0.334 0.750
Hg2 0.246 0.419 0.250
```

Diffraction record for CaLaHg2. The powder diffraction line list is simulated, not measured: it uses DFT lattice parameters and positions (PBE) and CuKα.
Neutral-atom scattering factors, no anomalous dispersion.

Main lines, by intensity (10° ≤ 2θ ≤ 80°):
hkl  Position (°2θ)  d/Å  I_rel
2 2 0  32.8  2.730  1000
4 2 2  58.6  1.576  383
4 0 0  47.1  1.931  184
2 0 0  23.0  3.861  168
6 2 0  78.3  1.221  167
4 4 0  68.8  1.365  119
4 2 0  53.0  1.727  80
1 1 1  19.9  4.458  59
2 2 2  40.5  2.229  57
6 0 0  73.6  1.287  41

Structure:
```
data_CaLaHg2
_space_group_name_H-M_alt 'F m -3 m'
_space_group_IT_number 225
_space_group_name_Hall '-F 4 2 3'
_cell_length_a 7.722
_cell_length_b 7.722
_cell_length_c 7.722
_cell_angle_alpha 90.00
_cell_angle_beta 90.00
_cell_angle_gamma 90.00
loop_
_atom_site_label
_atom_site_fract_x
_atom_site_fract_y
_atom_site_fract_z
Ca1 0.000 0.000 0.000
La1 0.000 0.000 0.500
Hg1 0.250 0.250 0.250
```

Diffraction record for CaLuHg2. The powder diffraction line list is simulated, not measured: it uses DFT lattice parameters and positions (PBE) and CuKα.
Neutral-atom scattering factors, no anomalous dispersion.

Main lines, by intensity (10° ≤ 2θ ≤ 80°):
hkl  Position (°2θ)  d/Å  I_rel
2 2 0  34.2  2.619  1000
4 2 2  61.3  1.512  376
4 0 0  49.2  1.852  181
4 4 0  72.1  1.309  117
2 0 0  24.0  3.703  106
1 1 1  20.8  4.276  101
3 1 1  40.4  2.233  58
4 2 0  55.5  1.656  49
2 2 2  42.3  2.138  35
3 3 1  54.0  1.699  26

Structure:
```
data_CaLuHg2
_space_group_name_H-M_alt 'F m -3 m'
_space_group_IT_number 225
_space_group_name_Hall '-F 4 2 3'
_cell_length_a 7.407
_cell_length_b 7.407
_cell_length_c 7.407
_cell_angle_alpha 90.00
_cell_angle_beta 90.00
_cell_angle_gamma 90.00
loop_
_atom_site_label
_atom_site_fract_x
_atom_site_fract_y
_atom_site_fract_z
Ca1 0.000 0.000 0.000
Lu1 0.000 0.000 0.500
Hg1 0.250 0.250 0.250
```

Diffraction record for CaNdHg2. The powder diffraction line list is simulated, not measured: it uses DFT lattice parameters and positions (PBE) and CuKα.
Neutral-atom scattering factors, no anomalous dispersion.

Main lines, by intensity (10° ≤ 2θ ≤ 80°):
hkl  Position (°2θ)  d/Å  I_rel
2 2 0  33.2  2.696  1000
4 2 2  59.4  1.557  381
4 0 0  47.7  1.907  183
6 2 0  79.5  1.206  167
2 0 0  23.3  3.813  153
4 4 0  69.8  1.348  118
4 2 0  53.8  1.705  73
1 1 1  20.2  4.403  68
2 2 2  41.0  2.202  51
3 1 1  39.2  2.299  39

Structure:
```
data_CaNdHg2
_space_group_name_H-M_alt 'F m -3 m'
_space_group_IT_number 225
_space_group_name_Hall '-F 4 2 3'
_cell_length_a 7.626
_cell_length_b 7.626
_cell_length_c 7.626
_cell_angle_alpha 90.00
_cell_angle_beta 90.00
_cell_angle_gamma 90.00
loop_
_atom_site_label
_atom_site_fract_x
_atom_site_fract_y
_atom_site_fract_z
Ca1 0.000 0.000 0.000
Nd1 0.000 0.000 0.500
Hg1 0.250 0.250 0.250
```
>>>
== Assignment ==
What is needed: give back every line further up that contains the word "powder".
== Done ==
Diffraction record for CaHg3. The powder diffraction line list is simulated, not measured: it uses DFT lattice parameters and positions (PBE) and CuKα.
Diffraction record for CaLaHg2. The powder diffraction line list is simulated, not measured: it uses DFT lattice parameters and positions (PBE) and CuKα.
Diffraction record for CaLuHg2. The powder diffraction line list is simulated, not measured: it uses DFT lattice parameters and positions (PBE) and CuKα.
Diffraction record for CaNdHg2. The powder diffraction line list is simulated, not measured: it uses DFT lattice parameters and positions (PBE) and CuKα.